Wrapping up Relationships: February’s issue in review
We have a relationship with everyone we meet—whether we like it or not. Navigating relationships is at the crux of humanity. When we are on point in our relationships, we feel great! When our relationships are suffering—whether that is our relationship with ourselves, a troublesome family member, or a romantic interest—everything else suffers. Building healthy and productive relationships helps us in every aspect of our lives.
That’s why, this month, we chose to tackle the concept of relationships from a variety of angles—discussing everything from our relationship with ourselves, to sex and intimacy, and even our relationship with the paranormal. Here’s a peek into what we found.
Sometimes a mentor is all you need to grab your dreams. Mind Key strives to be that boost for young writers and others who seek a career in the field of wellness. Danielle Rose shares her work helping people find their perfect career in Building the career of your dreams–relationship with students
Quantum chemistry results that have nothing to do with the article >
........
(1)
3 unconnected molecules or ions with the total composition C28H47BrN2O2, computed with the ωB97M-V functional and the def2-TZVPD basis.

Element x y z (Å)
1 C -1.567 4.643 1.712
2 C -0.949 3.126 1.792
3 C -0.895 2.308 3.212
4 C -1.413 2.847 4.671
5 C -2.878 3.583 4.663
6 N -3.967 3.235 3.901
7 C -0.207 0.784 3.199
8 C 0.379 0.192 1.787
9 C 0.314 0.997 0.360
10 C -0.365 2.489 0.361
11 Br -0.447 3.465 -1.410
12 C 0.984 0.080 -0.821
13 O 1.387 0.361 -2.063
14 N 1.007 -1.298 -0.127
15 C 1.958 -2.320 -0.712
16 C 1.511 -2.932 -2.167
17 C -0.109 -2.997 -2.420
18 C -0.629 -4.508 -2.900
19 C -0.483 -1.885 -3.593
20 C 1.142 -1.205 1.397
21 O 1.762 -2.004 2.271
22 H -1.236 5.268 0.779
23 H -2.751 4.602 1.837
24 H -1.178 5.223 2.676
25 H -0.580 3.518 5.174
26 H -1.532 1.883 5.366
27 H -2.988 4.542 5.365
28 H -3.681 2.405 3.332
29 H -0.105 0.110 4.163
30 H 2.192 -3.225 0.003
31 H 3.000 -1.766 -0.894
32 H 1.918 -4.050 -2.211
33 H 2.109 -2.337 -3.001
34 H -0.759 -2.724 -1.480
35 H -1.297 -4.432 -3.876
36 H 0.284 -5.255 -3.033
37 H -1.329 -4.958 -2.059
38 H -1.067 -1.000 -3.065
39 H -1.176 -2.318 -4.433
40 H 0.458 -1.418 -4.114
41 C 0.233 9.413 8.052
42 C 0.066 9.257 6.549
43 C -0.447 7.875 6.138
44 C 0.474 6.702 6.492
45 C 1.889 6.783 5.913
46 C 1.918 6.778 4.394
47 H 0.979 8.719 8.450
48 H 0.567 10.428 8.290
49 H -0.715 9.238 8.570
50 H 1.015 9.479 6.048
51 H -0.649 10.011 6.199
52 H -0.635 7.878 5.058
53 H -1.422 7.703 6.611
54 H 0.001 5.775 6.144
55 H 0.545 6.610 7.582
56 H 2.462 5.921 6.276
57 H 2.406 7.674 6.288
58 H 1.446 5.874 3.998
59 H 2.953 6.803 4.037
60 H 1.404 7.648 3.975
61 C 0.534 -5.618 -7.167
62 C -0.633 -6.562 -7.412
63 C -0.897 -7.514 -6.243
64 C 0.246 -8.481 -5.915
65 C 0.688 -9.387 -7.067
66 C -0.407 -10.323 -7.550
67 H 1.475 -6.163 -7.044
68 H 0.654 -4.939 -8.017
69 H 0.365 -5.014 -6.271
70 H -0.464 -7.125 -8.336
71 H -1.536 -5.961 -7.581
72 H -1.808 -8.085 -6.455
73 H -1.117 -6.922 -5.346
74 H -0.065 -9.108 -5.070
75 H 1.114 -7.913 -5.562
76 H 1.538 -9.991 -6.727
77 H 1.056 -8.786 -7.907
78 H -0.759 -10.965 -6.736
79 H -0.026 -10.968 -8.348
80 H -1.264 -9.773 -7.951

Summary:
LUMO energy = -1.51 eV
HOMO-LUMO gap = 0.2798 hartree
SMILES = [H]/N=C\Cc1cc2c(c(Br)c1C)C(=O)N(CCC(C)C)C2=O.CCCCCC.CCCCCC

Mulliken atomic charge list, values in e, 5 entries:
1 C -0.795
2 C 0.772
3 C 0.530
4 C -0.284
5 C -0.139

***

(2)
A molecular structure, C28H47BrNOP3Ti, computed with the ωB97M-V functional and the def2-TZVPD basis.

Element x y z (Å)
1 C 0.285 4.636 -3.622
2 C -0.263 3.559 -4.337
3 C -0.508 3.717 -5.707
4 C -0.357 5.019 -6.244
5 N 0.100 6.056 -5.532
6 C 0.413 5.879 -4.252
7 C -0.577 2.314 -3.631
8 C -1.264 1.714 -2.690
9 C -1.898 0.911 -1.701
10 C -1.015 -0.087 -1.138
11 C -1.398 -0.746 0.049
12 C -2.735 -0.646 0.544
13 C -3.638 0.192 -0.161
14 C -3.210 1.026 -1.211
15 Ti 0.607 1.174 -2.629
16 P 2.874 -0.244 -2.108
17 H -0.836 2.876 -6.320
18 H 0.561 4.497 -2.580
19 H -0.586 5.203 -7.306
20 H 0.816 6.725 -3.694
21 H -3.856 1.771 -1.700
........
So much for the quantum chemistry results >
Meanwhile, Vera Remes shared how spiritual and paranormal investigations help us better understand our relationship with other entities in Helping spirits–White Raven Investigates our relationship with the Paranormal.
Relationship with self
Relationships with others is essential to how we view and navigate the world—but navigating relationships is even more important to how we experience our successes and failures is our relationship with self.
In Discovering my path: the story behind “Gutless and Grateful, creative visionary, Amy Oestricher, tells us how sometimes a big detour can help you reach your goals ways you never imagined.
**Records of molecules that have nothing to do with the entry**
____________
Below is a 2-piece molecular cluster, C3H9IN3 overall, with properties calculated with the ωB97M-V functional and the def2-TZVPD basis.

```
16
Properties=species:S:1:pos:R:3:lowdin_spin:R:1
C 0.892 2.969 0.402 0.005
C -0.278 2.904 -0.267 0.004
C -0.302 -2.469 -0.237 0.029
N 0.021 -1.310 0.235 0.041
N 0.471 -3.582 -0.128 0.028
N -0.588 0.017 0.235 0.646
I -2.632 0.228 0.153 1.219
H 1.713 3.331 -0.185 0.000
H 0.957 2.872 1.416 0.000
H -1.162 2.581 0.213 0.002
H -0.347 3.391 -1.290 0.000
H -1.244 -2.611 -0.777 0.004
H 0.946 -1.232 0.738 0.009
H 0.145 -4.405 -0.649 0.001
H 1.463 -3.492 0.170 0.001
H -0.054 0.807 -0.031 0.012
```

The multiplicity is 3. The value obtained for the LUMO energy (alpha / beta) is -3.58 / -6.40 eV. The value obtained for the max |F| is 4.4 eV Å⁻¹. The value obtained for the total energy is -15815.6602 eV. The HOMO-LUMO gap (alpha / beta) is 6.9 / 7.0 eV. Its HOMO energy (alpha / beta) is -10.495 / -13.431 eV. As for the charge: +1. For the energy relative to the best compared isomer or geometry (same formula, charge and spin), the calculation gives 1.3805 eV.


Below is a 2-piece molecular cluster, C3H6NO2S overall, with properties calculated with the ωB97M-V functional and the def2-TZVPD basis.

```
13
Properties=species:S:1:pos:R:3:mulliken_charge:R:1
C 1.515 -0.763 -1.229 0.238
C -0.963 1.027 2.661 -1.098
C 0.918 1.413 -0.138 0.079
N 1.201 0.310 -0.581 0.025
O -1.661 -0.682 -1.493 -0.425
O 0.811 -1.411 -2.115 -0.302
S -0.815 -0.863 -2.674 0.532
H 2.480 -1.281 -0.765 0.307
H -1.268 0.049 2.249 0.415
H -1.423 1.981 2.811 0.385
H -0.239 0.989 3.392 0.421
H 0.402 1.343 0.923 0.191
H -0.958 -2.111 -3.040 0.231
```

The value obtained for the LUMO energy (alpha / beta) is -7.03 / -4.78 eV. The value obtained for the max |F| is 2.9 eV Å⁻¹. The value obtained for the total energy is -19613.8901 eV. The HOMO-LUMO gap (alpha / beta) is 6.1 / 9.7 eV. Its HOMO energy (alpha / beta) is -13.086 / -14.445 eV. As for the charge: +1. For the energy relative to the best compared isomer or geometry (same formula, charge and spin), the calculation gives 7.4582 eV.


Below is C4H12N5 as an isolated structure, with properties calculated with the ωB97M-V functional and the def2-TZVPD basis.

```
21
Properties=species:S:1:pos:R:3:mulliken_charge:R:1
C -1.081 1.240 0.464 -0.817
C -1.472 -0.033 0.762 -0.058
C -0.112 1.564 -0.610 0.310
C -0.975 -2.363 0.653 -0.858
N 0.147 0.338 -1.427 -0.505
N -1.018 -1.068 0.010 -0.048
N 1.177 2.065 -0.033 -0.670
N 1.808 -0.580 -0.153 -0.520
N 0.626 -0.811 -0.771 0.269
H -1.360 2.124 1.024 0.420
H -2.114 -0.424 1.570 0.393
H -0.676 2.282 -1.268 0.347
H -1.868 -2.766 0.180 0.338
H -0.034 -2.842 0.457 0.390
H -1.124 -2.310 1.763 0.310
H 0.813 0.585 -2.045 0.220
H 1.033 2.727 0.791 0.282
H 1.707 2.674 -0.647 0.220
H 1.928 -1.229 0.512 0.256
H 2.013 0.353 0.238 0.355
H 0.583 -1.523 -1.471 0.366
```
____________
Our relationship-with-self dictates all other relationships. In Looking in the Mirror, Barbara Steingas communicates with her inner child to release old beliefs and patterns from the past, is the key to accessing the future we desire.
Research indicates that the attachment style we develop during childhood has a lasting effect on our adult romantic relationships. Carlie Currier shares her research on this in Healing the Wounds of Youth Through Romantic Relationships.
What if simply feeling bad in a relationship is enough to decide to let go? When we remember that we are our best own source of what we need, we have a new place to choose from. Letting go of toxic relationships by Wendy Watson-Hallowell offers excellent advice for putting those troublesome relationships of old—even the ones we don’t really want to let go of—to bed.
Energy and boundaries
Energy is all around us. It’s amplified in relationships, but when we don’t have boundaries for that amped up energy, things start go awry. The following articles talk about keeping abundant human energy in check, so it can work for you, not against.
How you react to a situation is your choice. In Live and Let Live: A philosophy for strong relationships, Vera Remes advises that it’s not all about what has happened to you, but what you do about it.
Dr. Lisa Avila has found that so many of her clients are feeling powerless lately. In Overcoming helplessness in a victimized world she offers an action plan for navigating marginalization, eliminating victimization, and playing large.
Mind Key intern, Paola Scaduto, writes how the The Power of Positivity can change the way we react and relate to the world around us, improve overall health, wellbeing and longevity, and help us achieve our dreams.
In There is strength in distance: The benefit of long distance relationships, Mind Key intern, Rebecca Pall proves how love and support can overcome any amount of distance.
Lack of sleep can affect mental health, physical health, and the health of relationships. Fall 2016 graduate of WPUNJ, Mary Thorpe, discusses how better sleep is difficult for everyone, particularly college students, in How many all-nighters are too many–your relationship with sleep.
Intimacy and sex
Sex is an amazing experience, and one that is integral to the human condition. It affects, and is affected by, our health, our personal belief systems, and our relationship with those we love most. Unfortunately, the discussion usually ends with quantity, not quality, and rarely ever how it affects our life as a whole.
Sex affects both our relationship with intimacy, and with our loved ones. Mind Key writer, Ojanae Ellison interviews Mind Key’s belief coach, Wendy Watson-Hallowell and integrative health specialist, Dr. Lisa Avila, to navigate relationships in Intimacy and wellness: Your relationship with sex.

“Women in Cloaks” by Alma Carel
Spiritual issues can manifest themselves as sexual issues. In Sexual dysfunction: A physical or energetic representation of health?, Dr. Lisa Avila discusses some of the underlying paradigms of sexual expression by society. She offers “hold and release” and “full wave breathing” techniques. These techniques help take control of our own bodies and feel more connected to ourselves and our partners.
Charla Dury explains that teaching kids means working through relationship issues, sharing your experiences, demonstrating an ability to work through issues, and to listen in Teaching your teen about healthy relationship boundaries.
In the Middle East, sex is surrounded by silence. In Sex in two worlds: A Middle Eastern perspective on intimacy. Colleen Jennings suggests that this silence can offer a lens by which Western cultures might expand and improve sexual relationships.
Being in a long term relationship doesn’t offer an exempt card for STD testing. In STDs—Don’t let your long-term relationship fool you, Melissa Casiano, student writer at William Paterson University, NJ, explains why yearly testing is recommended for those in long-term monogamous relationships.
Is your head spinning? Ready to take a break from the relationships of your life? Is it time to jump into the freshness that is spring? Us too…. Stay tuned for March’s issue on Renewal. We’ll discuss personal and emotional growth, overcoming addiction, and using the energy of the season to manifest our dreams.